[Listing]
=====
No. 1
# Ho2ScAl3CuSn2 (PBE, optimized geometry)
data_Ho2ScAl3CuSn2
_cell_length_a 4.202
_cell_length_b 7.162
_cell_length_c 7.162
_cell_angle_alpha 118.75
_cell_angle_beta 90.00
_cell_angle_gamma 90.00
_space_group_name_H-M_alt 'P 1'
_space_group_IT_number 1
_space_group_name_Hall 'P 1'
loop_
_atom_site_label
_atom_site_type_symbol
_atom_site_fract_x
_atom_site_fract_y
_atom_site_fract_z
_atom_site_occupancy
Al1 Al 0.500 0.000 0.228 1
Al2 Al 0.500 0.783 0.783 1
Al3 Al 0.500 0.228 0.000 1
Cu1 Cu 0.000 0.010 0.010 1
Ho1 Ho 0.000 0.998 0.609 1
Ho2 Ho 0.000 0.609 0.998 1
Sc1 Sc 0.000 0.379 0.379 1
Sn1 Sn 0.500 0.657 0.338 1
Sn2 Sn 0.500 0.338 0.657 1
# Uncorrected energy, eV per atom: -4.7938
# Total magnetization, Bohr magnetons per cell: 0.00

No. 2
# Ho3Al3Cu2Si (PBE, optimized geometry)
data_Ho3Al3Cu2Si
_cell_length_a 7.193
_cell_length_b 7.193
_cell_length_c 3.855
_cell_angle_alpha 90.00
_cell_angle_beta 90.00
_cell_angle_gamma 120.00
_space_group_name_H-M_alt 'P 1'
_space_group_IT_number 1
_space_group_name_Hall 'P 1'
loop_
_atom_site_label
_atom_site_type_symbol
_atom_site_fract_x
_atom_site_fract_y
_atom_site_fract_z
_atom_site_occupancy
Al1 Al 0.746 0.000 0.500 1
Al2 Al 0.254 0.254 0.500 1
Al3 Al 0.000 0.746 0.500 1
Cu1 Cu 0.667 0.333 0.500 1
Cu2 Cu 0.333 0.667 0.500 1
Ho1 Ho 0.399 0.000 0.000 1
Ho2 Ho 0.000 0.399 0.000 1
Ho3 Ho 0.601 0.601 0.000 1
Si1 Si 0.000 0.000 0.000 1
# Uncorrected energy, eV per atom: -4.6322
# Total magnetization, Bohr magnetons per cell: 0.01

No. 3
# Y2HoAl3CuSi2 (PBE, optimized geometry)
data_Y2HoAl3CuSi2
_cell_length_a 4.170
_cell_length_b 6.915
_cell_length_c 6.915
_cell_angle_alpha 119.97
_cell_angle_beta 90.00
_cell_angle_gamma 90.00
_space_group_name_H-M_alt 'P 1'
_space_group_IT_number 1
_space_group_name_Hall 'P 1'
loop_
_atom_site_label
_atom_site_type_symbol
_atom_site_fract_x
_atom_site_fract_y
_atom_site_fract_z
_atom_site_occupancy
Al1 Al 0.500 0.238 0.001 1
Al2 Al 0.500 0.001 0.238 1
Al3 Al 0.500 0.762 0.762 1
Cu1 Cu 0.000 0.002 0.002 1
Ho1 Ho 0.000 0.406 0.406 1
Si1 Si 0.500 0.665 0.334 1
Si2 Si 0.500 0.334 0.665 1
Y1 Y 0.000 0.000 0.593 1
Y2 Y 0.000 0.593 0.000 1
# Uncorrected energy, eV per atom: -5.4527
# Total magnetization, Bohr magnetons per cell: 0.00

No. 4
# Tb2HoAl3CuSn2 (PBE, optimized geometry)
data_Tb2HoAl3CuSn2
_cell_length_a 4.287
_cell_length_b 7.294
_cell_length_c 7.294
_cell_angle_alpha 119.84
_cell_angle_beta 90.00
_cell_angle_gamma 90.00
_space_group_name_H-M_alt 'P 1'
_space_group_IT_number 1
_space_group_name_Hall 'P 1'
loop_
_atom_site_label
_atom_site_type_symbol
_atom_site_fract_x
_atom_site_fract_y
_atom_site_fract_z
_atom_site_occupancy
Al1 Al 0.500 0.223 0.000 1
Al2 Al 0.500 0.000 0.223 1
Al3 Al 0.500 0.778 0.778 1
Cu1 Cu 0.000 0.003 0.003 1
Ho1 Ho 0.000 0.386 0.386 1
Sn1 Sn 0.500 0.665 0.334 1
Sn2 Sn 0.500 0.334 0.665 1
Tb1 Tb 0.000 0.999 0.612 1
Tb2 Tb 0.000 0.612 0.999 1
# Uncorrected energy, eV per atom: -4.6417
# Total magnetization, Bohr magnetons per cell: 0.00

Please write out number 3 again, unchanged.
# Y2HoAl3CuSi2 (PBE, optimized geometry)
data_Y2HoAl3CuSi2
_cell_length_a 4.170
_cell_length_b 6.915
_cell_length_c 6.915
_cell_angle_alpha 119.97
_cell_angle_beta 90.00
_cell_angle_gamma 90.00
_space_group_name_H-M_alt 'P 1'
_space_group_IT_number 1
_space_group_name_Hall 'P 1'
loop_
_atom_site_label
_atom_site_type_symbol
_atom_site_fract_x
_atom_site_fract_y
_atom_site_fract_z
_atom_site_occupancy
Al1 Al 0.500 0.238 0.001 1
Al2 Al 0.500 0.001 0.238 1
Al3 Al 0.500 0.762 0.762 1
Cu1 Cu 0.000 0.002 0.002 1
Ho1 Ho 0.000 0.406 0.406 1
Si1 Si 0.500 0.665 0.334 1
Si2 Si 0.500 0.334 0.665 1
Y1 Y 0.000 0.000 0.593 1
Y2 Y 0.000 0.593 0.000 1
# Uncorrected energy, eV per atom: -5.4527
# Total magnetization, Bohr magnetons per cell: 0.00

----------

[1]
# Nb3Pt2Rh3 (PBE, optimized geometry)
# ΔH_f (0 K): -564 meV/atom
# M_tot: 0.0 μB per formula unit
data_Nb3Pt2Rh3
_symmetry_space_group_name_H-M 'P m m m'
_symmetry_Int_Tables_number 47
=====

[To do]
Your job: type out all of the rows earlier on without altering anything.

[Outcome]
No. 1
# Ho2ScAl3CuSn2 (PBE, optimized geometry)
data_Ho2ScAl3CuSn2
_cell_length_a 4.202
_cell_length_b 7.162
_cell_length_c 7.162
_cell_angle_alpha 118.75
_cell_angle_beta 90.00
_cell_angle_gamma 90.00
_space_group_name_H-M_alt 'P 1'
_space_group_IT_number 1
_space_group_name_Hall 'P 1'
loop_
_atom_site_label
_atom_site_type_symbol
_atom_site_fract_x
_atom_site_fract_y
_atom_site_fract_z
_atom_site_occupancy
Al1 Al 0.500 0.000 0.228 1
Al2 Al 0.500 0.783 0.783 1
Al3 Al 0.500 0.228 0.000 1
Cu1 Cu 0.000 0.010 0.010 1
Ho1 Ho 0.000 0.998 0.609 1
Ho2 Ho 0.000 0.609 0.998 1
Sc1 Sc 0.000 0.379 0.379 1
Sn1 Sn 0.500 0.657 0.338 1
Sn2 Sn 0.500 0.338 0.657 1
# Uncorrected energy, eV per atom: -4.7938
# Total magnetization, Bohr magnetons per cell: 0.00

No. 2
# Ho3Al3Cu2Si (PBE, optimized geometry)
data_Ho3Al3Cu2Si
_cell_length_a 7.193
_cell_length_b 7.193
_cell_length_c 3.855
_cell_angle_alpha 90.00
_cell_angle_beta 90.00
_cell_angle_gamma 120.00
_space_group_name_H-M_alt 'P 1'
_space_group_IT_number 1
_space_group_name_Hall 'P 1'
loop_
_atom_site_label
_atom_site_type_symbol
_atom_site_fract_x
_atom_site_fract_y
_atom_site_fract_z
_atom_site_occupancy
Al1 Al 0.746 0.000 0.500 1
Al2 Al 0.254 0.254 0.500 1
Al3 Al 0.000 0.746 0.500 1
Cu1 Cu 0.667 0.333 0.500 1
Cu2 Cu 0.333 0.667 0.500 1
Ho1 Ho 0.399 0.000 0.000 1
Ho2 Ho 0.000 0.399 0.000 1
Ho3 Ho 0.601 0.601 0.000 1
Si1 Si 0.000 0.000 0.000 1
# Uncorrected energy, eV per atom: -4.6322
# Total magnetization, Bohr magnetons per cell: 0.01

No. 3
# Y2HoAl3CuSi2 (PBE, optimized geometry)
data_Y2HoAl3CuSi2
_cell_length_a 4.170
_cell_length_b 6.915
_cell_length_c 6.915
_cell_angle_alpha 119.97
_cell_angle_beta 90.00
_cell_angle_gamma 90.00
_space_group_name_H-M_alt 'P 1'
_space_group_IT_number 1
_space_group_name_Hall 'P 1'
loop_
_atom_site_label
_atom_site_type_symbol
_atom_site_fract_x
_atom_site_fract_y
_atom_site_fract_z
_atom_site_occupancy
Al1 Al 0.500 0.238 0.001 1
Al2 Al 0.500 0.001 0.238 1
Al3 Al 0.500 0.762 0.762 1
Cu1 Cu 0.000 0.002 0.002 1
Ho1 Ho 0.000 0.406 0.406 1
Si1 Si 0.500 0.665 0.334 1
Si2 Si 0.500 0.334 0.665 1
Y1 Y 0.000 0.000 0.593 1
Y2 Y 0.000 0.593 0.000 1
# Uncorrected energy, eV per atom: -5.4527
# Total magnetization, Bohr magnetons per cell: 0.00

No. 4
# Tb2HoAl3CuSn2 (PBE, optimized geometry)
data_Tb2HoAl3CuSn2
_cell_length_a 4.287
_cell_length_b 7.294
_cell_length_c 7.294
_cell_angle_alpha 119.84
_cell_angle_beta 90.00
_cell_angle_gamma 90.00
_space_group_name_H-M_alt 'P 1'
_space_group_IT_number 1
_space_group_name_Hall 'P 1'
loop_
_atom_site_label
_atom_site_type_symbol
_atom_site_fract_x
_atom_site_fract_y
_atom_site_fract_z
_atom_site_occupancy
Al1 Al 0.500 0.223 0.000 1
Al2 Al 0.500 0.000 0.223 1
Al3 Al 0.500 0.778 0.778 1
Cu1 Cu 0.000 0.003 0.003 1
Ho1 Ho 0.000 0.386 0.386 1
Sn1 Sn 0.500 0.665 0.334 1
Sn2 Sn 0.500 0.334 0.665 1
Tb1 Tb 0.000 0.999 0.612 1
Tb2 Tb 0.000 0.612 0.999 1
# Uncorrected energy, eV per atom: -4.6417
# Total magnetization, Bohr magnetons per cell: 0.00

Please write out number 3 again, unchanged.
# Y2HoAl3CuSi2 (PBE, optimized geometry)
data_Y2HoAl3CuSi2
_cell_length_a 4.170
_cell_length_b 6.915
_cell_length_c 6.915
_cell_angle_alpha 119.97
_cell_angle_beta 90.00
_cell_angle_gamma 90.00
_space_group_name_H-M_alt 'P 1'
_space_group_IT_number 1
_space_group_name_Hall 'P 1'
loop_
_atom_site_label
_atom_site_type_symbol
_atom_site_fract_x
_atom_site_fract_y
_atom_site_fract_z
_atom_site_occupancy
Al1 Al 0.500 0.238 0.001 1
Al2 Al 0.500 0.001 0.238 1
Al3 Al 0.500 0.762 0.762 1
Cu1 Cu 0.000 0.002 0.002 1
Ho1 Ho 0.000 0.406 0.406 1
Si1 Si 0.500 0.665 0.334 1
Si2 Si 0.500 0.334 0.665 1
Y1 Y 0.000 0.000 0.593 1
Y2 Y 0.000 0.593 0.000 1
# Uncorrected energy, eV per atom: -5.4527
# Total magnetization, Bohr magnetons per cell: 0.00

----------

[1]
# Nb3Pt2Rh3 (PBE, optimized geometry)
# ΔH_f (0 K): -564 meV/atom
# M_tot: 0.0 μB per formula unit
data_Nb3Pt2Rh3
_symmetry_space_group_name_H-M 'P m m m'
_symmetry_Int_Tables_number 47